May 02, 2005 17:03
**What comes next are data records, not part of the page:**
{"formula": "C44H123N9O13", "method": "the ωB97M-V functional and the def2-TZVPD basis", "species": ["C", "C", "O", "H", "H", "H", "H", "H", "H", "C", "C", "O", "H", "H", "H", "H", "H", "H", "C", "C", "O", "H", "H", "H", "H", "H", "H", "C", "C", "O", "H", "H", "H", "H", "H", "H", "C", "C", "C", "O", "C", "N", "H", "H", "H", "H", "H", "H", "H", "H", "H", "H", "H", "C", "C", "C", "O", "C", "N", "H", "H", "H", "H", "H", "H", "H", "H", "H", "H", "H", "C", "C", "C", "O", "C", "N", "H", "H", "H", "H", "H", "H", "H", "H", "H", "H", "H", "C", "C", "C", "O", "C", "N", "H", "H", "H", "H", "H", "H", "H", "H", "H", "H", "H", "C", "C", "C", "O", "C", "N", "H", "H", "H", "H", "H", "H", "H", "H", "H", "H", "H", "C", "C", "C", "O", "C", "N", "H", "H", "H", "H", "H", "H", "H", "H", "H", "H", "H", "C", "C", "C", "O", "C", "N", "H", "H", "H", "H", "H", "H", "H", "H", "H", "H", "H", "C", "C", "C", "O", "C", "N", "H", "H", "H", "H", "H", "H", "H", "H", "H", "H", "H", "C", "C", "C", "O", "C", "N", "H", "H", "H", "H", "H", "H", "H", "H", "H", "H", "H"], "positions_angstrom": [[1.5349, 3.4040, -2.5707], [2.4015, 3.1166, -3.7918], [2.2029, 1.7898, -4.1778], [0.5131, 3.0535, -2.7164], [1.5539, 4.4774, -2.3823], [1.9014, 2.8744, -1.6914], [3.4162, 3.3630, -3.4793], [2.1087, 3.7097, -4.6582], [2.8698, 1.5914, -4.8392], [1.4705, -4.5775, -0.0855], [-0.0213, -4.8994, 0.1697], [-0.2386, -6.1700, -0.3162], [2.0739, -5.3209, 0.4353], [1.5130, -3.5583, 0.2987], [1.6568, -4.5804, -1.1594], [-0.7754, -4.3475, -0.3914], [-0.2951, -4.8495, 1.2235], [-1.1720, -6.3942, -0.3243], [-3.1317, -5.3449, 2.4454], [-2.7085, -4.1277, 3.2616], [-2.6195, -4.6247, 4.6029], [-2.3034, -6.0419, 2.5730], [-3.2223, -5.0620, 1.3966], [-4.1203, -5.6384, 2.7986], [-3.3877, -3.2777, 3.1952], [-1.7134, -3.8011, 2.9596], [-2.3120, -3.9066, 5.1609], [5.0476, -3.3776, 0.2932], [6.3622, -2.5474, 0.0334], [6.2539, -1.2062, 0.3967], [5.1307, -4.4305, 0.0236], [4.1595, -2.9964, -0.2109], [4.9678, -3.3800, 1.3802], [6.4775, -2.5565, -1.0505], [7.3138, -2.9139, 0.4185], [7.1164, -0.8501, 0.6222], [-1.6360, 0.8220, 5.1790], [-3.0943, 0.4569, 5.4552], [-3.7169, -0.4190, 4.3315], [-3.7900, 0.3837, 3.2200], [-4.7790, -0.0128, 2.2728], [-3.1688, -0.2345, 6.6886], [-1.2604, 1.4460, 5.9900], [-1.6001, 1.4130, 4.2638], [-1.0302, -0.0686, 5.0123], [-3.6362, 1.4016, 5.5010], [-4.7336, -0.6613, 4.6407], [-3.1711, -1.3365, 4.1117], [-4.7394, -1.0742, 2.0276], [-4.6530, 0.4895, 1.3137], [-5.7357, 0.3353, 2.6622], [-2.8209, 0.4767, 7.3158], [-4.1616, -0.3188, 6.8544], [0.0098, 4.1543, 2.1185], [0.3021, 4.3654, 0.5960], [-1.0056, 4.4192, -0.2601], [-1.5807, 3.1129, -0.3145], [-2.4868, 3.0132, -1.4252], [1.0217, 5.6521, 0.5397], [0.9392, 4.0519, 2.6787], [-0.5986, 3.2648, 2.2822], [-0.5656, 4.9664, 2.5629], [0.9103, 3.5128, 0.2941], [-0.7663, 4.7663, -1.2653], [-1.7340, 5.0633, 0.2326], [-3.1218, 3.8818, -1.5995], [-3.1706, 2.1935, -1.2047], [-2.0302, 2.8323, -2.3983], [0.2950, 6.2747, 0.8625], [1.1326, 5.9894, -0.4058], [4.4373, 5.0983, 1.5456], [4.6780, 5.2259, 0.0100], [4.5475, 3.8828, -0.8222], [5.6243, 3.0772, -0.4075], [5.4876, 1.7509, -0.9299], [3.7358, 6.2107, -0.4417], [5.1194, 4.4100, 2.0446], [3.4580, 4.6433, 1.6942], [4.4382, 6.0857, 2.0072], [5.6748, 5.6009, -0.2217], [4.5982, 4.1705, -1.8723], [3.5694, 3.4286, -0.6631], [5.0261, 1.7198, -1.9168], [4.9005, 1.1231, -0.2596], [6.4987, 1.4183, -1.1646], [3.6948, 6.3598, -1.4398], [2.8076, 5.9130, -0.1774], [5.4623, -6.0726, -4.2053], [4.4600, -5.4848, -3.1795], [4.0833, -3.9976, -3.5415], [5.2111, -3.1359, -3.6619], [4.8939, -1.7271, -3.6810], [3.1989, -6.2562, -3.1080], [6.3602, -5.4597, -4.2843], [4.9823, -6.0530, -5.1837], [5.7089, -7.0919, -3.9081], [4.8808, -5.5457, -2.1758], [3.3506, -3.6256, -2.8254], [3.5888, -3.9821, -4.5127], [4.0985, -1.4354, -4.3668], [5.7720, -1.1092, -3.8686], [4.5793, -1.3158, -2.7219], [2.9414, -6.3658, -4.0785], [3.4445, -7.1923, -2.8192], [4.1769, 1.3155, 2.5140], [3.9352, -0.0272, 3.1851], [2.6443, 0.0105, 4.0103], [2.8580, 0.5668, 5.3167], [1.7682, 0.3739, 6.2452], [3.8491, -1.0680, 2.1899], [3.3811, 1.4994, 1.7923], [5.1548, 1.3189, 2.0324], [4.1722, 2.1432, 3.2232], [4.8220, -0.2265, 3.7867], [2.4559, -1.0566, 4.1287], [1.8201, 0.4785, 3.4719], [1.7330, -0.6878, 6.4896], [0.8056, 0.6482, 5.8137], [2.0313, 0.8781, 7.1750], [4.6856, -1.0669, 1.6239], [3.1638, -0.8575, 1.4785], [-0.4892, -1.2808, 1.7313], [-0.2906, 0.1581, 1.2989], [0.4750, 0.2390, -0.0673], [1.8358, -0.1197, 0.1042], [2.5497, -0.2919, -1.1108], [-1.6089, 0.7080, 1.1347], [-1.1042, -1.7652, 0.9730], [-1.0431, -1.3441, 2.6680], [0.3879, -1.9225, 1.8149], [0.1300, 0.7104, 2.1393], [0.4730, 1.2662, -0.4319], [-0.0237, -0.2849, -0.8827], [2.1147, -0.9641, -1.8504], [3.5381, -0.6919, -0.8844], [2.6686, 0.6277, -1.6838], [-1.4861, 1.6356, 0.7545], [-2.1197, 0.7479, 2.0051], [-5.9861, 6.5464, 4.8706], [-6.2091, 5.0188, 4.8059], [-5.1095, 4.2286, 4.1042], [-5.0437, 4.5345, 2.7455], [-4.0131, 3.8070, 2.0337], [-6.2999, 4.5205, 6.1801], [-5.6652, 6.9795, 3.9232], [-5.1751, 6.7149, 5.5790], [-6.8755, 7.0794, 5.2065], [-7.1126, 4.7556, 4.2559], [-5.1269, 3.1667, 4.3491], [-4.1897, 4.5804, 4.5715], [-4.1718, 2.7439, 2.2150], [-3.0331, 4.0382, 2.4511], [-4.0962, 4.1287, 0.9955], [-6.3241, 3.5124, 6.1218], [-7.2012, 4.7441, 6.5773], [-7.8658, -2.3671, -2.6756], [-7.1989, -2.5035, -1.2989], [-5.9468, -1.6010, -0.9921], [-4.8437, -2.2631, -1.5177], [-3.6706, -1.6389, -1.1116], [-8.1790, -2.1083, -0.3122], [-8.6850, -3.0682, -2.8352], [-7.0927, -2.5298, -3.4266], [-8.1832, -1.3503, -2.9064], [-6.9398, -3.5541, -1.1682], [-5.8719, -1.3954, 0.0757], [-5.9991, -0.6563, -1.5332], [-2.8624, -1.9856, -1.7556], [-3.4191, -1.8262, -0.0677], [-3.7531, -0.6026, -1.4394], [-8.1304, -1.1001, -0.3477], [-9.0618, -2.4211, -0.6903], [0.4151, -2.7945, -9.9960], [-0.2087, -2.5453, -8.6465], [0.7472, -1.9566, -7.5905], [-0.0177, -1.6309, -6.3590], [0.9156, -1.3907, -5.2960], [-1.1820, -1.5485, -8.9147], [0.9798, -1.9358, -10.3591], [-0.2082, -3.0
Well I think I've decided to discontinue use of LiveJournal. I don't really think it matter too much as no one reads mine, nor do I read others. But for the sake of posterity, I figured I'd at least give one final update. So here goes;
On The Summer
Well the summer is off to a wonderfully depressing start. Work is work, 40 hours of absolute hell every week. Sometimes I feel like I'm gonna freak out and have a massive breakdown right in the middle of work. But I always calmly try to regain my compsure and carry on with the day. I'm sick and tired of being everyones bitch at work, I like the store in Kzoo much much better. I have hardley seen my friends so far, partly because I have not been around due to other events and partly due to them always being gone elsewhere as well. Dom is pissed off at me, because RJ came and lived it up Kzoo style and was too drunk to get to Lapeer for a job he had. Now I tried to wake his ass up, no go! But regardless he is never here now because he's always up there and the last time I saw Dom, she didn't even talk to me. That is perfect, please - do that, do exactly that. I have no room, no bed - I'm still sleeping on a couch in the living room with everything I own boxed up in the garage. It's like I'm living in permant temporarity. Does a mind good.
On The Jetta
Well I don't think I'll ever by one of these cars think I've said that about 50 times on here in the last few months. SO here is the new shitlist. 1] Some asshole in Kzoo hit me head on, cracking my bumper, knocking out my lights, and breaking my grill. Insurance is on it's way. [The drivers side key cylnder broke on night for no appartent reason. Just snap! Broke! So now I have to unlock my doors from the passenger side. To make matters worse the morning following the breakage I accidently snapped off the little lock lifter, thus making it that much hard to get into and out of my car. PLUS everything else that was broke still is. No money to fix it.
On School
School is depressing. I got DC's on 2 of my classes, which isn't failing but also doesn't count. So retakes for them......I'm such a dumb fuck. Jen just graduated and while I sat there and watched her classmates accepting doplomas I started to have a panic attack and had to leave my seat. I just didn't think I was gonna ever graduate's going to take me forever. I had to call a friend for some reassuring words in order to stop myself from jumping off the upper level concourse to ground below.
On Jennifer
Well like I said, she has graduated and I couldn't be more proud of her. She has recently accepted a job in Farmington Hills working with kids who are delinquent and I know that is work that she loves. Unfortunally I think our time together has drawn to a close. I love her very much and I don't want to see that happen but all things aside, it's inevitable. She has begun a professional career and I'm sure she doesn't want to be dating some looser who is still in college. If I was in her position I wouldn't. Besides, the logistics are a nightmare. I work everyday from 7-330. She will be working 45 mintues away from around then until 11. So basically we miss each other. Now if we lived in the same house, no prob. But we don't. Also she will have weekend work, and I will to, most likly conflicting. This is right now, not to mention when I go back to Kzoo it will be impossible to see her. Last year she was an hour away and I still never saw her, now she thinks 3 hours will be fine. Well of course she thinks it will be fine, she has no real plans of staying with me anyway. I just wish she'd dump me know so I can get over her and move on....or do whatever. A common wedding vow is "for better for worse" and I don't think either of use understand the meaning of that. For her, she has never made a life change or sacrafice for me or for the good of our relationship. If I get in the way of the "plan", I'm history - unless I comply that is.
On Dieting
What more can I say? In attempts to look better and feel better, I think I've opened a pandora's box. I've stopped drinking, well mostly that is, and started doing the whole weight watchers thing. Everyday I'm weaker and weaker. But I'm not to hungery anymore, I was in the begining, that is for sure. The other day I broke from my diet while out with Jen and her family. Well that didn't last too long as I puked it back up really soon after eating it. So now I have to eat this food that makes me feel bad otherwise I feel bad. I can't get to sleep really early so I've been taking Ambien which is addictive, so I have that problem to look forward too. I guess the other day I took 2 and I was stumpling around my house in my parents had to help me back upstairs and I remember nothing about it. I really makes you feel drunk.....
Misplaced records of molecules:
[1]
{
  "formula": "C44H105CdN6O21",
  "method": "ωB97M-V/def2-TZVPD",
  "homo_lumo_gap_ha": 0.0602,
  "largest_force_ev_per_a": 6.6,
  "total_charge": -1,
  "symbols": ["Cd", "O", "O", "O", "O", "O", "O", "O", "O", "O", "O", "O", "O", "O", "O", "O", "O", "O", "O", "O", "O", "O", "N", "N", "N", "N", "N", "N", "C", "C", "C", "C", "C", "C", "C", "C", "C", "C", "C", "C", "C", "C", "C", "C", "C", "C", "C", "C", "C", "C", "C", "C", "C", "C", "C", "C", "C", "C", "C", "C", "C", "C", "C", "C", "C", "C", "C", "C", "C", "C", "C", "C", "H", "H", "H", "H", "H", "H", "H", "H", "H", "H", "H", "H", "H", "H", "H", "H", "H", "H", "H", "H", "H", "H", "H", "H", "H", "H", "H", "H", "H", "H", "H", "H", "H", "H", "H", "H", "H", "H", "H", "H", "H", "H", "H", "H", "H", "H", "H", "H", "H", "H", "H", "H", "H", "H", "H", "H", "H", "H", "H", "H", "H", "H", "H", "H", "H", "H", "H", "H", "H", "H", "H", "H", "H", "H", "H", "H", "H", "H", "H", "H", "H", "H", "H", "H", "H", "H", "H", "H", "H", "H", "H", "H", "H", "H", "H", "H", "H", "H", "H", "H", "H", "H", "H", "H", "H"],
On Kalamazoo
I miss it. But I miss the old it. I went to visit and we had fun but it just wasn't the same. I miss the Nick days at B201 just chillin being us. My last few nights there a few certain people fucked around with my head and really ended up hurting me.....but what's new. I guess I was asking for it. Next year is going to be a very lonley and dark year, something that seems new to me but as I read journals past I realize that its all the same.
On Saying Goodbye
I never really liked the whole suicide talk. It's so mopy and immature plus it's only real purpose is to gain attention. That is not what this is. I just feel as though some people were put on this planet to kill themselves. Let's look at it logically now; Without people commiting suicide there would be no awarness about it as well as programs put into place that actually SAVE people who are NOT suppose to die. We could look at it philosophically as well. If people are put on this planet to live, then they are put here to die as well. Nothing is satisfying anymore. I used to take Lexapro for depression but disconinued because of the overwhelming flatness. I didn't enjoy hearing music, watching a moving film, or simply being arond people. Now I get that way and I'm not on anything - I've self medicated myself with my brain. Neato, isn't it. I think, well I should say KNOW, that I'm no going to make it much longer. Not everyone is suposed to live nice long lives and be successful. Everything just keeps on spiraling downward and downward and I'm just waiting for the straw. The subtlety of it all is really quite amazing. I will have a book written before I go. One testimate in the sea of others now avaiable at your local borders books.